Contents:
********
(1)
The following is a theoretical powder XRD pattern of Sr2LaBiO6. It was derived from the GGA-PBE geometry in the Materials Project, using Cu Kα (weighted mean of Kα1 and Kα2).
Kinematic intensities with the Lorentz-polarization factor, no thermal factor.

Largest 10 diffraction maxima, by angle, 15° ≤ 2θ ≤ 90°:
Position (°2θ)  intensity  h k l
17.59  5  1 1 1
20.33  18  2 0 0
28.91  100  2 2 0
41.34  27  4 0 0
46.49  9  4 2 0
51.24  47  4 2 2
59.90  16  4 4 0
67.86  19  6 2 0
75.39  5  4 4 4
82.67  24  6 2 4

Atomic structure:
abc: 8.735 8.735 8.735
angles: 90.00 90.00 90.00
Space group Pn-3 (No. 201, origin choice 2)
Asymmetric unit:
Sr 0.250 0.250 0.250
Sr 0.250 0.250 0.750
La 0.000 0.000 0.000
Bi 0.000 0.000 0.500
O 0.040 0.551 0.763

=====

(2)
The following is a theoretical powder XRD pattern of LaTaBi2O7. It was derived from the GGA-PBE geometry in the Materials Project, using Cu Kα (weighted mean of Kα1 and Kα2).
Kinematic intensities with the Lorentz-polarization factor, no thermal factor.

Largest 10 diffraction maxima, by angle, 15° ≤ 2θ ≤ 90°:
Position (°2θ)  intensity  h k l
27.85  94  0 2 2
28.01  100  2 0 2
32.23  26  0 0 4
32.42  49  2 2 0
46.35  75  0 4 0
46.72  14  4 0 0
54.87  31  2 0 6
54.99  31  2 4 2
55.26  29  4 2 2
74.59  19  2 4 6

Atomic structure:
abc: 7.777 7.844 11.110
angles: 90.00 90.00 90.00
Space group Imma (No. 74)
Asymmetric unit:
La 0.250 0.250 0.250
Ta 0.000 0.000 0.000
Bi 0.000 0.000 0.500
Bi 0.250 0.250 0.750
O 0.000 0.250 0.018
O 0.000 0.250 0.370
O 0.000 0.250 0.632
O 0.190 0.008 0.876

=====

(3)
The following is a theoretical powder XRD pattern of LaTi6Bi7O24. It was derived from the GGA-PBE geometry in the Materials Project, using Cu Kα (weighted mean of Kα1 and Kα2).
Kinematic intensities with the Lorentz-polarization factor, no thermal factor.

Largest 10 diffraction maxima, by angle, 15° ≤ 2θ ≤ 90°:
Position (°2θ)  intensity  h k l
15.93  27  0 0 3
22.90  23  1 -1 1
29.54  100  -1 1 3
29.76  100  1 1 3
32.43  39  0 2 -1
32.73  36  2 0 0
37.72  24  0 0 7
47.02  28  2 2 -1
50.58  21  0 2 6
56.32  24  1 3 2

Atomic structure:
abc: 5.473 5.521 16.917
angles: 99.37 90.04 90.67
Space group P1 (No. 1)
Asymmetric unit:
La 0.000 0.000 0.000
Ti 0.002 0.587 0.129
Ti 0.008 0.322 0.617
Ti 0.493 0.947 0.872
Ti 0.502 0.821 0.616
Ti 0.504 0.072 0.129
Ti 0.993 0.450 0.875
Bi 0.006 0.830 0.741
Bi 0.040 0.105 0.294
Bi 0.492 0.604 0.296
Bi 0.501 0.472 0.009
Bi 0.512 0.334 0.738
Bi 0.544 0.181 0.450
Bi 0.996 0.685 0.447
O 0.054 0.434 0.756
O 0.061 0.642 0.234
O 0.202 0.639 0.626
O 0.225 0.229 0.897
O 0.227 0.310 0.093
O 0.230 0.740 0.889
O 0.255 0.417 0.375
O 0.268 0.809 0.094
O 0.268 0.914 0.374
O 0.293 0.137 0.625
O 0.420 0.936 0.756
O 0.442 0.147 0.234
O 0.554 0.784 0.511
O 0.557 0.053 0.989
O 0.716 0.369 0.116
O 0.720 0.584 0.649
O 0.722 0.231 0.855
O 0.745 0.731 0.859
O 0.756 0.414 0.370
O 0.768 0.912 0.371
O 0.770 0.087 0.653
O 0.780 0.871 0.122
O 0.923 0.540 0.989
O 0.946 0.272 0.512

=====

(4)
The following is a theoretical powder XRD pattern of LaTi3Bi3O12. It was derived from the GGA-PBE geometry in the Materials Project, using Cu Kα (weighted mean of Kα1 and Kα2).
Kinematic intensities with the Lorentz-polarization factor, no thermal factor.

Largest 10 diffraction maxima, by angle, 15° ≤ 2θ ≤ 90°:
Position (°2θ)  intensity  h k l
15.85  24  3 0 0
23.20  35  1 1 -1
29.66  100  3 1 1
29.78  95  4 1 -1
32.75  37  1 0 -2
32.89  35  0 2 0
39.44  25  5 0 -2
47.09  45  1 2 -2
50.76  30  7 2 0
56.72  30  3 3 1

Atomic structure:
abc: 16.983 5.447 5.469
angles: 90.00 98.96 90.00
Space group Pc (No. 7)
Asymmetric unit:
La 0.000 0.248 0.000
Ti 0.126 0.251 0.566
Ti 0.611 0.247 0.305
Ti 0.870 0.251 0.425
Bi 0.291 0.274 0.109
Bi 0.445 0.227 0.689
Bi 0.736 0.257 0.817
O 0.092 0.487 0.292
O 0.111 0.017 0.829
O 0.232 0.301 0.627
O 0.366 0.003 0.912
O 0.370 0.496 0.412
O 0.507 0.189 0.257
O 0.621 0.454 0.623
O 0.647 0.028 0.062
O 0.752 0.323 0.415
O 0.855 0.044 0.148
O 0.885 0.455 0.751
********

Brief:
What is needed: filter the notes further up: keep the lines with the word "theoretical".

Done:
The following is a theoretical powder XRD pattern of Sr2LaBiO6. It was derived from the GGA-PBE geometry in the Materials Project, using Cu Kα (weighted mean of Kα1 and Kα2).
The following is a theoretical powder XRD pattern of LaTaBi2O7. It was derived from the GGA-PBE geometry in the Materials Project, using Cu Kα (weighted mean of Kα1 and Kα2).
The following is a theoretical powder XRD pattern of LaTi6Bi7O24. It was derived from the GGA-PBE geometry in the Materials Project, using Cu Kα (weighted mean of Kα1 and Kα2).
The following is a theoretical powder XRD pattern of LaTi3Bi3O12. It was derived from the GGA-PBE geometry in the Materials Project, using Cu Kα (weighted mean of Kα1 and Kα2).